Snaggletooth YoHooks

Hello! We’ve started a ‘business’ selling these yoyo holsters. Available in a variety of colours for each individual piece.

14
Properties=species:S:1:pos:R:3:forces:R:3:lowdin_charge:R:1 method="wB97M-V/def2-TZVPD" gap_ha="0.2768 / 0.2841" e_homo_ha="-0.2899 / -0.3823" e_lumo_ev="-0.36 / -2.67" multiplicity=3 relative_energy_kj_mol=117.81
C 1.493 -1.038 0.352 0.625 -2.755 -2.257 -0.04
P -2.324 -0.050 -0.061 1.845 -1.510 -2.048 0.31
H 0.669 -1.598 0.761 -0.310 -0.630 -0.179 0.07
O -3.540 0.403 -0.705 -1.622 1.361 -0.431 -0.40
Cl -2.698 -1.340 1.374 0.090 -0.410 1.543 0.33
O 0.186 -0.794 -1.729 0.742 0.636 0.912 0.07
H 2.272 -1.691 -0.196 -1.261 0.342 1.392 0.12
C 0.279 1.054 -0.157 -1.880 -0.199 0.893 -0.59
H 1.955 -0.630 1.194 0.933 1.467 0.935 0.06
H 1.868 0.214 -1.207 2.114 1.281 -1.800 0.10
Cl 1.237 2.408 0.442 0.139 -0.705 -0.849 0.69
C 1.020 -0.165 -0.781 -2.632 0.672 1.889 -0.48
C -1.032 1.143 0.223 1.655 -1.137 -0.904 -0.28
H -1.385 2.085 0.489 -0.438 1.588 0.905 0.04

---

13
Properties=species:S:1:pos:R:3:forces:R:3:lowdin_charge:R:1 method="wB97M-V/def2-TZVPD" gap_ha=0.3980 smiles=C[C@@]1(C(Cl)(Cl)Cl)CO1 e_homo_ha=-0.3759 e_lumo_ev=0.60 relative_energy_kj_mol=231.37
Cl 1.750 1.140 1.503 0.412 0.917 1.640 0.67
C 1.560 0.274 0.085 -2.965 -2.044 -2.326 -1.53
C -0.160 -0.081 -0.231 3.249 1.081 2.931 -0.59
Cl 2.110 1.185 -1.342 0.002 -0.077 0.221 0.58
H -1.658 -1.530 0.034 0.227 -0.281 0.354 0.12
H -0.793 1.475 1.148 -0.789 -0.604 -1.088 0.06
Cl 2.440 -1.315 0.145 -0.224 0.800 -0.020 0.57
C -1.114 1.028 0.164 -0.607 0.403 -1.811 -0.04
O -0.256 -0.898 -1.300 0.073 -0.150 -2.049 0.00
H -2.185 0.571 0.115 1.873 1.081 0.492 0.12
C -0.569 -1.452 -0.042 -3.632 2.277 -0.753 -0.12
H -0.076 -2.201 0.385 2.611 -2.885 1.210 0.05
H -1.050 1.803 -0.664 -0.230 -0.518 1.201 0.10

---

12
Properties=species:S:1:pos:R:3:forces:R:3:lowdin_charge:R:1 method="wB97M-V/def2-TZVPD" gap_ha="0.3543 / 0.2815" e_homo_ha="-0.3587 / -0.3254" e_lumo_ev="-0.12 / -1.19" relative_energy_kj_mol=503.12
F 1.847 -0.516 -1.285 0.050 -0.048 1.225 0.02
C 0.665 -0.453 0.806 -4.250 0.299 -5.800 0.10
Cl 2.535 1.537 0.206 -0.499 -1.487 -0.102 0.53
C 1.903 -0.274 0.048 1.349 0.570 0.357 -0.88
H 0.396 0.083 1.673 0.157 0.458 0.916 0.04
F 2.880 -1.069 0.584 -0.258 0.596 -0.620 0.02
H -0.799 -1.153 -1.335 0.274 1.648 1.283 0.10
H -2.838 -0.263 -0.198 0.447 0.911 -0.005 0.08

1 holster - 8$ shipping incl.

Sample pictures, showing some of the varieties of colours:

Colours for carabiners: Green, black, silver, orange, red, blue

Colours of cord:
Thick - White and black
Thin - Every colour of the rainbow

Colours for sliding clip: Black, white, orange

Colours of keyring: Green, pink, silver, blue
(If you’re paranoid of it possibly ‘scuffing’ your yoyo we could use a bead in the colour of your choice)

PM me with colour choices!! Don’t post in thread unless you have questions about the holsters!

What is the difference between this and the FAST yoyo holder.

Because that is 6$ and yours is $10, and they look like the same thing.

They actually look good, and they’re customizable. And hey, we have to make a profit.

10 bucks? o.O
werrd was selling their wachamacallits for $2 at worlds.
I understand you have to make a profit, but that’s still a bit much. the carabiner is no more than $2 (I got one at a little family shop for $1.50, but I think I could have gotten it cheaper at like dollar store)
a hair band (which is what I’m guessing you’re using) is about 10-15 cents each ($3.50 for a 24 pack on amazon)
the plastic thing I’m not sure about. but I’d guess like 50 cents a piece.

Elasticized cord, not hair bands. Werrd’s buying them straight from a retailer in bulk, thats why they’re so cheap. Also we’ve had a couple sales already and the profit is quite small anyways…

I like the Idea, but Honestly I think people are starting to make their own. I mean you get the Carabiner’s 4 in a pk for 1.50 at Wal-Mart with all the Cords, Beads and what have you, I’ve even found a cpl different shaped carabiner’s. But then again, I guess you have to have the Craftiness in you to make em. But hey I’m not knocking you for it, More Power to ya. Good Luck with your venture. Also I bet if you change them up a bit, Maybe braid the string like a friendship bracelet or something you would get more sales or something, just an Idea. Because everyone is looking for something different, odd or out of the ordinary :slight_smile:

Everyone STFU about his price. One things for sure, these aren’t going to break anytime soon. I met a guy who had three YYF fast holders and all of them were broken.
Small businesses gotta start somewhere.

Very true! We’re looking into making them out of yoyo string and we got a bunch of other crazy ideas and perhaps start making cases. You’d be surprised how helpless lots of yoyoers are with stuff like this. I figure if we get a few sales we’d venture into making some other things.

So true. Ours are durable and colourful :slight_smile:

you think you will be able to sell so at the Canadian Nats?

For sure, unless nobodies buying…